(Contents)
+++
Computed, not measured: a geometry-optimized HfFeNi2H structure at the PBE-GGA level of DFT.

raw total energy: -6.86 eV/atom
SG: No. 123
ΔE to the lowest computed polymorph: 0.36 eV/f.u.
total magnetization: 1.31 μB per cell
D(E_F): 3.89 states/eV per cell

a b c (Å): 3.6468 3.6468 4.1157
angles (deg): 90.00 90.00 90.00
Positions (direct):
Hf 0.0000 0.0000 0.5000
Ni 0.0000 0.5000 0.0000
Fe 0.5000 0.5000 0.5000
H 0.0000 0.0000 0.0000
Ni 0.5000 0.0000 0.0000
+++

(Job)
Write out the rows further up exactly.

(Completed)
Computed, not measured: a geometry-optimized HfFeNi2H structure at the PBE-GGA level of DFT.

raw total energy: -6.86 eV/atom
SG: No. 123
ΔE to the lowest computed polymorph: 0.36 eV/f.u.
total magnetization: 1.31 μB per cell
D(E_F): 3.89 states/eV per cell

a b c (Å): 3.6468 3.6468 4.1157
angles (deg): 90.00 90.00 90.00
Positions (direct):
Hf 0.0000 0.0000 0.5000
Ni 0.0000 0.5000 0.0000
Fe 0.5000 0.5000 0.5000
H 0.0000 0.0000 0.0000
Ni 0.5000 0.0000 0.0000